Board Meeting Information
As required by Section 311, Title 25 of the Oklahoma Statutes, notice is hereby given that the Board of Education of Independent School District No. 11, Tulsa County, Oklahoma will hold a Special Board Meeting on:
Wednesday, February 19, 2025, at 12:00 p.m.
Dale C. Johnson Education Service Center
1501 N. Ash, Owasso, Oklahoma
Please note: Board of Education regular meetings will typically be held on the second Monday of each month at 6:30 p.m. at the Dale C. Johnson Education Service Center Conference Room located at 1501 N. Ash. Agendas for each meeting are posted on this website and at the Education Service Center at least 24 hours in advance of each meeting, excluding weekends and holidays.
(Records of molecules, kept here for reference)
- - -
{"formula": "C37H28FN6O3PtS2", "method": "ωB97M-V/def2-TZVPD", "species": ["Pt", "C", "C", "C", "C", "C", "C", "C", "F", "C", "C", "C", "O", "C", "C", "N", "C", "C", "O", "O", "H", "H", "H", "H", "H", "H", "H", "H", "H", "H", "H", "S", "C", "C", "C", "C", "C", "C", "S", "H", "H", "H", "H", "N", "C", "C", "C", "C", "C", "N", "C", "H", "H", "H", "H", "C", "C", "N", "C", "C", "C", "C", "C", "C", "C", "C", "N", "C", "N", "H", "H", "H", "H", "H", "H", "H", "H", "H"], "positions_angstrom": [[1.381, -1.225, -0.773], [-3.394, -0.586, 5.531], [-1.925, -0.239, 5.723], [-1.685, 0.988, 6.589], [-2.257, 2.231, 5.924], [-1.756, 2.357, 4.511], [-1.723, 3.579, 3.878], [-1.247, 3.688, 2.574], [-1.241, 4.900, 2.007], [-0.784, 2.611, 1.874], [-0.798, 1.357, 2.497], [-0.276, 0.198, 1.775], [0.182, 0.377, 0.618], [-0.267, -1.042, 2.477], [-0.792, -1.077, 3.751], [-1.283, -0.029, 4.401], [-1.289, 1.230, 3.803], [0.235, -2.361, 1.970], [0.155, -3.349, 2.669], [0.708, -2.437, 0.747], [-3.878, -0.702, 6.501], [-3.500, -1.521, 4.983], [-3.921, 0.190, 4.975], [-1.404, -1.091, 6.161], [-0.612, 1.110, 6.748], [-2.143, 0.824, 7.565], [-1.985, 3.127, 6.482], [-3.350, 2.190, 5.922], [-2.059, 4.472, 4.390], [-0.417, 2.712, 0.863], [-0.813, -2.026, 4.273], [3.067, -1.662, -2.258], [2.845, -0.562, -3.620], [3.575, -0.732, -4.792], [3.399, 0.165, -5.831], [2.495, 1.215, -5.710], [1.768, 1.379, -4.544], [1.960, 0.492, -3.489], [1.073, 0.678, -1.978], [4.269, -1.558, -4.884], [3.961, 0.039, -6.747], [2.356, 1.903, -6.533], [1.055, 2.188, -4.439], [3.677, 3.165, 3.338], [3.730, 2.145, 2.814], [3.782, 0.858, 2.179], [4.701, -0.112, 2.565], [4.673, -1.336, 1.922], [3.732, -1.557, 0.936], [2.846, -0.618, 0.580], [2.872, 0.575, 1.171], [5.417, 0.095, 3.348], [5.363, -2.125, 2.183], [3.662, -2.509, 0.429], [2.149, 1.303, 0.832], [-1.225, -4.256, -2.298], [-0.374, -3.478, -1.548], [0.084, -2.295, -2.009], [-0.297, -1.883, -3.217], [-1.173, -2.599, -4.019], [-1.635, -3.818, -3.548], [-1.546, -2.096, -5.354], [-1.881, -0.855, -5.713], [-2.083, 0.339, -4.872], [-2.214, 1.586, -5.477], [-2.418, 2.674, -4.647], [-2.494, 2.555, -3.323], [-2.367, 1.322, -2.849], [-2.169, 0.210, -3.544], [-1.559, -5.200, -1.892], [-0.044, -3.771, -0.564], [0.115, -0.958, -3.578], [-2.310, -4.416, -4.147], [-1.521, -2.841, -6.142], [-2.063, -0.688, -6.769], [-2.154, 1.700, -6.550], [-2.527, 3.672, -5.054], [-2.429, 1.209, -1.771]], "lumo_ev": -4.10, "gap_ev": 6.36, "total_charge": 1, "spin_multiplicity": 1}

=====
- - -
(The records of molecules stop here)
Request to Speak or Address the Board
A request to address the Board on any agenda item for the scheduled meeting may be made.
Organizations, groups, or individuals may request to speak to the Board during the public comment segment scheduled for all regular board meetings.
Such request must be made by the person wanting to address the Board on any agenda item for the scheduled meeting by signing their name and number of the agenda item to be discussed/addressed at least ten (10) minutes prior to the beginning of the meeting on the sign-in sheet provided at each Regular Board meeting.
A request to address the Board on any non-agenda item must be received by the board minutes clerk in writing seven (7) calendar days prior to the Board’s next regular meeting date.
The board minutes clerk can be contacted at or via mail at the address below:
Owasso Public Schools
Attn: Renae Klein
1501 N Ash St
Owasso, OK 74055 -
Topics for discussion must be specific in nature, as required by law for school board meetings.
Five (5) minutes are allowed for each individual to comment. The total time allotted to public comment at regular Board meetings will not exceed thirty (30) minutes.
For more information on public comments to the Board, please see the Public Participation policy (#1.40) in the Owasso Public Schools Policy Manual.
Meeting Details
The meeting agenda and streaming link (if available) will be posted at least 24 hours in advance of the meeting.
Video of the streamed meetings will be available via the same link after the meeting.
Meeting minutes will be posted following approval by the board at the next month's meeting. For example, January meeting minutes will be posted after February's meeting.
Misplaced data records
/*
8 unconnected molecules or ions with the total composition C18H54N2O10 at a distorted geometry, computed with the ωB97M-V functional and the def2-TZVPD basis.

Each atom is followed by the atoms it is bonded to, with distances in Å.
CARTESIAN COORDINATES (ANGSTROEM)
1 C 45.6228 8.9081 16.9535  O2 1.407, H10 1.098, H11 1.093, H12 1.090
2 O 44.8499 9.8763 16.2875  C1 1.407, C3 1.404
3 C 43.7256 10.2593 17.0360  O2 1.404, C4 1.510, H13 1.103, H14 1.098
4 C 42.8981 11.1874 16.1789  C3 1.510, N5 1.449, H15 1.090, H16 1.105
5 N 41.6559 11.5708 16.8192  C4 1.449, C6 1.461, H17 1.013
6 C 41.7947 12.6440 17.8005  N5 1.461, C7 1.504, H18 1.105, H19 1.094
7 C 40.4322 13.1409 18.1987  C6 1.504, O8 1.418, H20 1.093, H21 1.097
8 O 39.8134 13.6444 17.0267  C7 1.418, C9 1.401
9 C 38.5702 14.2477 17.2571  O8 1.401, H22 1.091, H23 1.096, H24 1.100
10 H 45.0313 7.9975 17.1180  C1 1.098
11 H 46.0302 9.3051 17.8871  C1 1.093
12 H 46.4329 8.6204 16.2840  C1 1.090
13 H 44.0378 10.8053 17.9423  C3 1.103
14 H 43.1522 9.3796 17.3565  C3 1.098
15 H 42.6433 10.7168 15.2292  C4 1.090
16 H 43.5313 12.0562 15.9250  C4 1.105
17 H 40.9921 11.9432 16.1503  N5 1.013
18 H 42.3737 13.4790 17.3665  C6 1.105
19 H 42.3366 12.3113 18.6902  C6 1.094
20 H 40.5152 13.9266 18.9540  C7 1.093
21 H 39.8453 12.2846 18.5544  C7 1.097
22 H 38.3458 14.9106 16.4199  C9 1.091
23 H 38.5534 14.8294 18.1854  C9 1.096
24 H 37.7529 13.5132 17.3049  C9 1.100
25 C 39.8962 15.6013 10.0100  O26 1.399, H34 1.089, H35 1.097, H36 1.102
26 O 39.0572 15.6789 11.1273  C25 1.399, C27 1.429
27 C 39.1904 16.9168 11.8294  O26 1.429, C28 1.515, H37 1.095, H38 1.096
28 C 38.2119 16.8676 12.9847  C27 1.515, N29 1.448, H39 1.106, H40 1.094
29 N 38.0570 18.1603 13.6175  C28 1.448, C30 1.470, H41 1.015
30 C 36.9683 18.1564 14.6047  N29 1.470, C31 1.512, H42 1.106, H43 1.089
31 C 36.9801 19.4251 15.4271  C30 1.512, O32 1.411, H44 1.093, H45 1.101
32 O 36.7806 20.6016 14.6747  C31 1.411, C33 1.399
33 C 35.4632 20.7644 14.2326  O32 1.399, H46 1.097, H47 1.088, H48 1.100
34 H 39.7233 14.6435 9.5203  C25 1.089
35 H 40.9534 15.7082 10.2810  C25 1.097
36 H 39.6333 16.3572 9.2526  C25 1.102
37 H 38.9540 17.7400 11.1475  C27 1.095
38 H 40.2293 16.9790 12.1738  C27 1.096
39 H 38.5410 16.0723 13.6792  C28 1.106
40 H 37.2750 16.5065 12.5506  C28 1.094
41 H 38.9112 18.4057 14.1070  N29 1.015
42 H 37.1115 17.3192 15.3136  C30 1.106
43 H 36.0251 18.0177 14.0783  C30 1.089
44 H 37.9363 19.5591 15.9386  C31 1.093
45 H 36.2141 19.3890 16.2166  C31 1.101
46 H 35.2140 20.1073 13.3907  C33 1.097
47 H 35.3534 21.7987 13.9118  C33 1.088
48 H 34.7392 20.5747 15.0391  C33 1.100
49 C 43.9455 15.7812 12.6975  O50 1.430, H51 1.083, H52 1.096, H53 1.092
50 O 44.0247 14.9179 13.8352  C49 1.430, H54 0.961
51 H 42.9168 15.8964 12.3789  C49 1.083
52 H 44.3227 16.7799 12.9464  C49 1.096
53 H 44.5332 15.3935 11.8629  C49 1.092
54 H 44.9454 14.8965 14.1103  O50 0.961
55 C 42.6416 9.0413 12.7823  O56 1.429, H57 1.091, H58 1.098, H59 1.089
*/
Scheduled meeting dates and times for the Owasso Board of Education for 2024/2025 are listed below.
Please note those dates containing an asterisk (*) do not follow the regular 2nd Monday of the month schedule.